Anchor protocol savings

Allan Brito
7 min readJul 7, 2021

What is the first thing you learn about financial education when you are a child? In most cultures, your parents teach us about money-saving. You have to save money for the future, and as a child, you probably saved money to buy something you wanted. That is a powerful way of starting a mindset early to build wealth. As an adult, you will start to take notice of saving accounts provided by banks. They give you money if you deposit your hard-earned cash with them.

How much do they pay you to keep your money with them? On average, a bank in the United States pays 0.5% of the Annual Percentage Yield (APY). With a yield of this magnitude, those accounts should be renamed as losing accounts and not savings. Why? Because they will make you lose money.

A key point of any savings strategy is to protect your money purchasing power. Each year that purchase power decreases due to inflation. If we have an inflation rate of 2% in a year, you should find a savings account that gives you at least that same APY to protect your money. Anything below will make you lose purchasing power.

For instance, in 2021, we have estimate inflation in the United States of 5%. Anyone with a savings account receiving 0.5% as interest is getting a big hit in their purchasing power. If you do the math, you lose 4.5% on average. A deposit of 1000 USD in savings account results in 1005 USD after a year. Due to inflation, your money will have the same purchasing power of about 950 USD a year before.

Anchor protocol savings

This record from Alexandria describes an optimized crystal structure of SbH3Pb. The functional is GGA-PBE.

Cell and atoms, written as extended XYZ:
```
5
Lattice="4.163 0.000 0.000 0.000 4.163 0.000 0.000 0.000 4.163" Properties=species:S:1:pos:R:3 pbc="T T T"
Sb 0.000 0.000 0.000
H 0.000 0.000 2.081
H 0.000 2.081 0.000
H 2.081 0.000 0.000
Pb 2.081 2.081 2.081
```

M_tot ... 0.0000 μB per atom
Crystal system ... cubic
Total DFT energy (no corrections) ... -2.992 eV per atom

This record from Alexandria describes an optimized crystal structure of Sb2H2Pb. The functional is GGA-PBE.

Cell and atoms, written as extended XYZ:
```
10
Lattice="8.014 0.000 0.000 0.000 8.014 0.000 0.000 0.000 3.209" Properties=species:S:1:pos:R:3 pbc="T T T"
Sb 1.009 2.998 0.000
Sb 2.998 7.005 0.000
Sb 5.016 1.009 0.000
Sb 7.005 5.016 0.000
H 0.776 4.783 1.604
H 3.231 0.776 1.604
H 4.783 7.238 1.604
H 7.238 3.231 1.604
Pb 0.000 0.000 0.000
Pb 4.007 4.007 0.000
```

M_tot ... 0.0000 μB per atom
Crystal system ... tetragonal
Total DFT energy (no corrections) ... -3.150 eV per atom

This record from Alexandria describes an optimized crystal structure of SbH2Pb. The functional is GGA-PBE.

Cell and atoms, written as extended XYZ:
```
16
Lattice="7.825 0.000 0.000 0.000 3.875 0.000 -7.591 0.000 11.072" Properties=species:S:1:pos:R:3 pbc="T T T"
Sb -0.205 0.104 2.328
Sb -4.001 1.834 7.864
Sb 4.235 2.041 3.208
Sb 0.439 3.771 8.744
H -3.171 0.754 6.740
H 0.624 1.183 1.204
H -2.518 2.706 8.149
H 1.278 3.106 2.613
H -1.044 0.769 8.458
H 2.751 1.169 2.923
H -0.390 2.692 9.868
H 3.405 3.120 4.332
Pb -5.047 0.894 10.619
Pb -1.251 1.043 5.083
Pb 1.485 2.832 5.989
Pb 5.280 2.980 0.453
```

M_tot ... 0.0000 μB per atom
Crystal system ... monoclinic
Total DFT energy (no corrections) ... -3.331 eV per atom

This record from Alexandria describes an optimized crystal structure of SbH2Pb2. The functional is GGA-PBE.

Cell and atoms, written as extended XYZ:
```
5
Lattice="-1.956 1.956 6.544 1.956 -1.956 6.544 1.956 1.956 -6.544" Properties=species:S:1:pos:R:3 pbc="T T T"
Sb 0.000 0.000 0.000
H 1.956 0.000 3.272
H 0.000 1.956 3.272
Pb 0.000 0.000 4.636
Pb 0.000 0.000 8.452
```

M_tot ... 0.0000 μB per atom
Crystal system ... tetragonal
Total DFT energy (no corrections) ... -3.347 eV per atom

This record from Alexandria describes an optimized crystal structure of Sb2HPb. The functional is GGA-PBE.

Cell and atoms, written as extended XYZ:
```
8
Lattice="-2.999 2.999 5.790 2.999 -2.999 5.790 2.999 2.999 -5.790" Properties=species:S:1:pos:R:3 pbc="T T T"
Sb 0.670 1.500 1.448
Sb -1.500 2.329 4.343
Sb -0.670 4.499 1.448
Sb 1.500 3.670 4.343
H 0.000 0.000 0.000
H 0.000 2.999 2.895
Pb 2.999 0.000 2.895
Pb 0.000 0.000 5.790
```

M_tot ... 0.0000 μB per atom
Crystal system ... tetragonal
Total DFT energy (no corrections) ... -3.409 eV per atom

This record from Alexandria describes an optimized crystal structure of SbHPb2. The functional is GGA-PBE.

Cell and atoms, written as extended XYZ:
```
4
So much for the records of crystals >

As a way of protecting your money purchasing power and also gain some high yield, we have in the Terra blockchain the Anchor Protocol. Instead of having that 0.5% APY of a bank, in Anchor, you get 19.25% interest on your deposits. That will not only beat inflation by a large margin but also increase the purchasing power of your deposits.

Remember that example of a 1000 USD deposit? If you deposit it in Anchor, after a year, you get 1192.50 USD.

How is it possible to give such high yields?

To better understand how Anchor Protocol can give you such high yields, we must take a look at how the protocol works. One thing you should keep in mind is that Anchor is a money market for the Terra Ecosystem. You can do three main things in Anchor:

  • Deposit
  • Borrow
  • Bond assets to use as collateral

You can also participate in the protocol governance, but we can take that aside and focus on the money market.

Borrowing from Anchor

A key feature of Anchor is the ability to borrow against a collateral deposit. For instance, let’s say you have 10000 LUNA tokens and you need money to buy a new car. Each LUNA token has an estimated price of 8 USD. That means you have a total of 80.000 USD in value. By turning those LUNA tokens to bLUNA and deposit them in Anchor, you can borrow up to 35% of that value.

In this case, you can get up to 28.000 USD using your collateral. If your car costs about 20.000 USD, you can easily borrow the exact amount and keep your LUNA tokens. Any value that you borrow from Anchor will pay interest. Today, a value borrowed from Anchor pays an annualized rate (APR) of 16.9%.

Why would anyone borrow money against their tokens? It seems to be easier to sell the tokens and get your money to spend. By selling the tokens, you avoid paying any rates. An aspect of that workflow that you should always keep in mind is that by selling your tokens, you may have a taxable event. Yes, you probably will have to pay capital gains taxes if you sell the tokens. In most countries, a debit is tax-free.

Depending on tax laws where you live, it could cost you a lot more to sell your LUNA. For instance, in the United States, those taxes range around 15–20%.

If you sell the tokens, you give away the asset (LUNA) and pay the taxes. By borrowing against your tokens, you pay the same and keep your assets. If the price of LUNA goes up in the future, you will be able to profit from those gains.

A key component of Anchor is the ability to borrow against your bonded tokens. At the moment, they only support LUNA. In the future, you will also be able to bond ETH and other tokens.

From the APR paid from those borrowings, you get a big chunk of Anchor APY for savings.

How banks make money?

Before we dive further into how Anchor Protocol works, we must take a break and think for a moment about your bank. Do you know how they make money? A bank can’t print money, and therefore, it must come from somewhere.

If you never thought about that, we can summarize the workflow of a bank as:

  • You deposit your money in the bank and get that incredible 0.5% APY if you leave it there for an entire year.
  • The bank takes your money and lends it to someone else. Yes, they will lend your money to other people and businesses.
  • To make the process profitable to the bank, anyone borrowing money will have to pay a much higher interest rate to the bank. For instance, a personal loan in the United States has fixed rates between 7–18% a year on average.
  • From that rate, the bank takes 0.5% to give back to you and keep the rest to themselves.

As you can see from this workflow, a person depositing money to get back such low APY is the real loser in the process.

The power of Defi for Terra

Since banks are taking your money and lending that to other people for profit, wouldn’t it be great to do that directly? What if you could lend your money to other people and keep the profits? With no middleman in the process, you can get all the profits.

That is what Anchor Protocol enables for the Terra Ecosystem and is part of a revolution taking place nowadays. Have you ever heard about Defi? That is what people call decentralized finance. This is a system that doesn’t use any middleman and uses smart contracts to control cash flow.

In a bank, you have lots of variables that you must take into consideration if you want to get a loan:

  • Your credit history
  • Your relation to the bank
  • Even the mood of employees

If everything goes right, you get your loan.

In Defi, a smart contract takes care of everything. It is software that controls all the aspects of the process. The contract doesn’t care about your credit history, where you live, or anything else. As long as you have the collateral deposited, you can take a loan.

When you deposit any amount for savings, that same smart contract makes sure your money goes into the pool that people can borrow. It works like a bank. But, you are the bank and take all the profits for yourself.

Besides getting the APR paid by borrowers, in Anchor, you also get part of the APY as rewards from other Proof of Stake blockchains.

How to deposit in Anchor?

To get those high-yield APY in Anchor, we have to follow a few steps. The first thing you have to do is get TerraUSD or UST to use in Anchor. There are two main ways of doing that, and both involve the use of an exchange:

  • Deposit fiat in an exchange and buy UST
  • Deposit fiat in an exchange and buy LUNA. Send the LUNA to your Terra Station wallet and swap that to UST

What is UST? It is a stablecoin that has a peg of 1 to 1 in relation to the Dollar. Unlike crypto that is highly volatile, a stablecoin keeps the peg. In the Terra blockchain, you find multiple stablecoins, and the UST is by far the most popular.

Once you get the UST in your wallet, open the Anchor Protocol Earn section.

This is the desktop version, but it also works on mobile.

Click on the deposit and choose the amount you want to add.

After you press the Proceed button, you will see a prompt to execute a contract. It triggers the smart contract.

Notice that there is a fee you have to pay. That goes to the validator that will run a code to verify the smart contract. Click on the Proceed button, and you are done!

Notice that Anchor will even give you an estimate of how much you will earn based on multiple timeframes:

  • Day
  • Month
  • Year
You can keep track of your earnings

At any moment, you can withdraw the funds using the Withdraw button. You also have to pay a fee to process the transaction. For that reason, it is always wise to keep a small amount of UST in your wallet to pay for those transactions.

And that is it! Now you know how Anchor protocol works. It is a great way of getting a high yield in your savings and move away from a traditional bank. Earn some money and beat inflation by a large margin.

